Abstract copyright UK Data Service and data collection copyright owner.
The Business Structure Database (BSD) contains a small number of variables for almost all business organisations in the UK. The BSD is derived primarily from the Inter-Departmental Business Register (IDBR), which is a live register of data collected by HM Revenue and Customs via VAT and Pay As You Earn (PAYE) records. The IDBR data are complimented with data from ONS business surveys. If a business is liable for VAT (turnover exceeds the VAT threshold) and/or has at least one member of staff registered for the PAYE tax collection system, then the business will appear on the IDBR (and hence in the BSD). In 2004 it was estimated that the businesses listed on the IDBR accounted for almost 99 per cent of economic activity in the UK. Only very small businesses, such as the self-employed were not found on the IDBR. The IDBR is frequently updated, and contains confidential information that cannot be accessed by non-civil servants without special permission. However, the ONS Virtual Micro-data Laboratory (VML) created and developed the BSD, which is a 'snapshot' in time of the IDBR, in order to provide a version of the IDBR for research use, taking full account of changes in ownership and restructuring of businesses. The 'snapshot' is taken around April, and the captured point-in-time data are supplied to the VML by the following September. The reporting period is generally the financial year. For example, the 2000 BSD file is produced in September 2000, using data captured from the IDBR in April 2000. The data will reflect the financial year of April 1999 to March 2000. However, the ONS may, during this time, update the IDBR with data on companies from its own business surveys, such as the Annual Business Survey (SN 7451). The data are divided into 'enterprises' and 'local units'. An enterprise is the overall business organisation. A local unit is a 'plant', such as a factory, shop, branch, etc. In some cases, an enterprise will only have one local unit, and in other cases (such as a bank or supermarket), an enterprise will own many local units. For each company, data are available on employment, turnover, foreign ownership, and industrial activity based on Standard Industrial Classification (SIC)92, SIC 2003 or SIC 2007. Year of 'birth' (company start-up date) and 'death' (termination date) are also included, as well as postcodes for both enterprises and their local units. Previously only pseudo-anonymised postcodes were available but now all postcodes are real. The ONS is continually developing the BSD, and so researchers are strongly recommended to read all documentation pertaining to this dataset before using the data. Linking to Other Business Studies These data contain IDBR reference numbers. These are anonymous but unique reference numbers assigned to business organisations. Their inclusion allows researchers to combine different business survey sources together. Researchers may consider applying for other business data to assist their research. Latest Edition Information For the sixteenth edition (March 2024), data files and a variable catalogue document for 2023 have been added.
'''
Record 1
Computed powder diffraction line list
Compound: Hg6RhF12
Radiation: Cu Ka
Structure: a cell relaxed with PBE
No peak broadening, texture or thermal motion is included.

The 10 most intense peaks (5° ≤ 2θ ≤ 70°), in order of falling intensity:
27.35°, rel. 100.0; 31.44°, rel. 55.9; 26.44°, rel. 34.7; 44.45°, rel. 30.1; 45.62°, rel. 27.6; 53.50°, rel. 26.3; 52.47°, rel. 14.2; 54.01°, rel. 13.2; 56.44°, rel. 10.8; 16.85°, rel. 8.7

Crystal structure
a = 6.948 Å, b = 6.948 Å, c = 6.948 Å
α = 98.45°, β = 98.45°, γ = 98.45°
Sites, in units of the cell vectors:
Hg: 0.110 0.804 0.639
Hg: 0.196 0.361 0.890
Hg: 0.361 0.890 0.196
Hg: 0.639 0.110 0.804
Hg: 0.804 0.639 0.110
Hg: 0.890 0.196 0.361
Rh: 0.500 0.500 0.500
F: 0.072 0.903 0.327
F: 0.097 0.673 0.928
F: 0.214 0.440 0.530
F: 0.327 0.072 0.903
F: 0.440 0.530 0.214
F: 0.470 0.786 0.560
F: 0.530 0.214 0.440
F: 0.560 0.470 0.786
F: 0.673 0.928 0.097
F: 0.786 0.560 0.470
F: 0.903 0.327 0.072
F: 0.928 0.097 0.673

***

Record 2
Computed powder diffraction line list
Compound: HgRhF6
Radiation: Cu Ka
Structure: a cell relaxed with PBE
No peak broadening, texture or thermal motion is included.

The 10 most intense peaks (5° ≤ 2θ ≤ 70°), in order of falling intensity:
22.85°, rel. 100.0; 31.03°, rel. 45.7; 50.56°, rel. 31.5; 34.00°, rel. 23.8; 41.36°, rel. 20.8; 54.58°, rel. 18.1; 59.00°, rel. 15.4; 46.69°, rel. 14.2; 60.85°, rel. 10.8; 38.68°, rel. 10.5

Crystal structure
a = 5.815 Å, b = 5.815 Å, c = 5.815 Å
α = 53.93°, β = 53.93°, γ = 53.93°
Sites, in units of the cell vectors:
Hg: 0.000 0.000 0.000
Rh: 0.500 0.500 0.500
F: 0.115 0.714 0.442
F: 0.286 0.558 0.885
F: 0.442 0.115 0.714
F: 0.558 0.885 0.286
F: 0.714 0.442 0.115
F: 0.885 0.286 0.558

***

Record 3
Computed powder diffraction line list
Compound: Hg4S2F
Radiation: Cu Ka
Structure: a cell relaxed with PBE
No peak broadening, texture or thermal motion is included.

The 10 most intense peaks (5° ≤ 2θ ≤ 70°), in order of falling intensity:
27.41°, rel. 100.0; 22.98°, rel. 42.4; 35.40°, rel. 37.6; 43.20°, rel. 36.2; 42.63°, rel. 34.9; 58.81°, rel. 25.3; 68.95°, rel. 18.5; 56.57°, rel. 17.2; 50.94°, rel. 13.4; 60.16°, rel. 10.7

Crystal structure
a = 5.071 Å, b = 5.071 Å, c = 15.478 Å
α = 90.00°, β = 90.00°, γ = 90.00°
Sites, in units of the cell vectors:
Hg: 0.000 0.000 0.238
Hg: 0.000 0.000 0.762
Hg: 0.000 0.500 0.000
Hg: 0.000 0.500 0.500
Hg: 0.500 0.000 0.000
Hg: 0.500 0.000 0.500
Hg: 0.500 0.500 0.262
Hg: 0.500 0.500 0.738
S: 0.000 0.000 0.421
S: 0.000 0.000 0.579
S: 0.500 0.500 0.079
S: 0.500 0.500 0.921
F: 0.000 0.000 0.000
F: 0.500 0.500 0.500

***

Record 4
Computed powder diffraction line list
Compound: Hg4SF5
Radiation: Cu Ka
Structure: a cell relaxed with PBE
No peak broadening, texture or thermal motion is included.

The 10 most intense peaks (5° ≤ 2θ ≤ 70°), in order of falling intensity:
'''
Main Topics:
The following variables are available for enterprises and local units:employment (and employees)turnoverStandard Industrial Classification (1992, 2003 and 2007 classifications are available)legal status (e.g. sole proprietor, partnership, public corporation, non-profit organisation etc)foreign ownershipbirth (company start date)death (termination date of trading)various geographical variables'Employment' includes business owners, whereas 'employees' measures the number of staff, excluding owners. Observations for enterprises also include a variable for ownership if the enterprise is part of a large group of companies. Local units have an additional ‘death code’ variable, which serves as an indicator as to why the plant closed (e.g. as a result of a merger). It should also be noted that there is no turnover information for individual plants. This is because the ONS does not collect financial information at the plant level, which is notoriously difficult, especially for manufacturing plants where often no financial transactions are processed. The birth and death variables are particularly useful for research, although it should be noted that for businesses that began trading before 1973, their birth date will be set to 1973. This is the year that VAT was introduced in the UK, and hence the first point in time for VAT registration for these companies. Companies that began trading since 1973 have their ‘real’ date of birth listed.
No sampling (total universe)